### Entries
First-principles (GGA-PBE) data for a geometry-optimized Hf2MnIr structure, as listed in the Materials Project.

Properties
**VASP energy**: -40.52 eV/cell
**DFT formation energy**: -0.65 eV/atom
**SG**: No. 225

extended XYZ file:
```
4
Lattice="0.000 3.224 3.224 3.224 0.000 3.224 3.224 3.224 0.000" Properties=species:S:1:pos:R:3 pbc="T T T"
Ir 3.224 3.224 3.224
Mn 0.000 0.000 0.000
Hf 1.612 1.612 1.612
Hf 4.836 4.836 4.836
```

First-principles (GGA-PBE) data for a geometry-optimized Hf2NiIr structure, as listed in the Materials Project.

Properties
**VASP energy**: -37.38 eV/cell
**DFT formation energy**: -0.71 eV/atom
**SG**: No. 225

extended XYZ file:
```
4
Lattice="0.000 3.235 3.235 3.235 0.000 3.235 3.235 3.235 0.000" Properties=species:S:1:pos:R:3 pbc="T T T"
Ni 0.000 0.000 0.000
Hf 1.618 1.618 1.618
Hf 4.853 4.853 4.853
Ir 3.235 3.235 3.235
```

First-principles (GGA-PBE) data for a geometry-optimized Hf2IrPd structure, as listed in the Materials Project.

Properties
**VASP energy**: -37.21 eV/cell
**DFT formation energy**: -0.82 eV/atom
**SG**: No. 225

extended XYZ file:
```
4
Lattice="0.270 -1.307 4.475 -2.248 -3.825 1.454 2.413 -3.821 1.175" Properties=species:S:1:pos:R:3 pbc="T T T"
Hf 0.326 -6.715 5.328
Hf 0.109 -2.238 1.776
Pd 0.000 0.000 0.000
Ir 0.217 -4.477 3.552
```

First-principles (GGA-PBE) data for a geometry-optimized HfSnIr structure, as listed in the Materials Project.

Properties
**VASP energy**: -74.67 eV/cell
**DFT formation energy**: -0.69 eV/atom
**SG**: No. 189

extended XYZ file:
```
9
Lattice="2.431 2.008 6.648 -6.265 -3.807 -0.631 1.901 -3.172 0.263" Properties=species:S:1:pos:R:3 pbc="T T T"
Hf 2.420 -0.372 4.151
Hf -2.837 -3.888 -0.250
Hf -0.565 -2.297 2.511
Sn -2.809 -1.318 4.408
Sn 0.650 0.537 1.778
Sn -1.675 -1.018 -0.169
Ir 0.951 -1.586 0.132
Ir -3.366 -1.869 1.796
Ir -0.468 0.070 4.222
```

First-principles (GGA-PBE) data for a geometry-optimized KLaHfNbO6 structure, as listed in the Materials Project.

Properties
**VASP energy**: -84.80 eV/cell
**DFT formation energy**: -3.31 eV/atom
**SG**: No. 216

extended XYZ file:
```
10
Lattice="1.422 5.624 -0.066 1.338 2.595 -5.014 -3.634 3.884 -2.316" Properties=species:S:1:pos:R:3 pbc="T T T"
O -2.022 4.978 -3.013
O -1.317 7.765 -3.046
O -1.358 6.264 -5.498
O 1.148 7.126 -4.383
O 0.485 5.840 -1.898
O 0.443 4.339 -4.350
Nb -0.437 6.052 -3.698
La -0.655 9.078 -5.547
K -0.218 3.026 -1.849
Hf 0.000 0.000 0.000
```

First-principles (GGA-PBE) data for a geometry-optimized KLaHf2O6 structure, as listed in the Materials Project.

Properties
**VASP energy**: -87.71 eV/cell
**DFT formation energy**: -3.62 eV/atom
**SG**: No. 225

extended XYZ file:
```
10
Lattice="0.000 -4.131 -4.131 4.131 0.000 -4.131 4.131 -4.131 0.000" Properties=species:S:1:pos:R:3 pbc="T T T"
O 2.066 -4.131 -2.066
O 2.066 -2.066 0.000
O 2.066 -2.066 -4.131
O 0.000 -2.066 -2.066
O 2.066 0.000 -2.066
O 4.131 -2.066 -2.066
La 4.131 -4.131 -4.131
K 0.000 0.000 0.000
Hf 2.066 -2.066 -2.066
Hf 6.197 -6.197 -6.197
```

First-principles (GGA-PBE) data for a geometry-optimized KLaHf4O12 structure, as listed in the Materials Project.

Properties
**VASP energy**: -155.03 eV/cell
**DFT formation energy**: -3.22 eV/atom
**SG**: No. 38

extended XYZ file:
```
18
Lattice="-1.356 -4.268 -3.648 -4.913 2.685 -1.417 3.941 3.980 -6.122" Properties=species:S:1:pos:R:3 pbc="T T T"
La -1.144 1.160 -5.606
O -1.107 -1.354 -4.866
O -1.105 4.101 -6.573
O -0.749 -2.188 -1.904
O -3.351 2.496 -6.158
O -3.709 -2.935 -4.296
O 1.106 2.413 -5.812
O -3.141 2.045 -3.411
O -0.653 3.177 -3.978
O 0.540 0.310 -7.425
O -0.625 0.665 -3.123
O -1.690 1.707 -8.071
O -3.421 -0.041 -5.382
Hf -2.595 3.558 -7.875
Hf -1.502 2.298 -2.202
Hf 0.527 4.346 -5.353
Hf -4.624 1.509 -4.724
K -1.356 -4.267 -3.647
```

First-principles (GGA-PBE) data for a geometry-optimized KLaHfTiO6 structure, as listed in the Materials Project.

Properties
**VASP energy**: -84.53 eV/cell
**DFT formation energy**: -3.51 eV/atom
**SG**: No. 216

### Exercise
It remains to return every line further up that contains the word "pos".

### Here it is
Lattice="0.000 3.224 3.224 3.224 0.000 3.224 3.224 3.224 0.000" Properties=species:S:1:pos:R:3 pbc="T T T"
Lattice="0.000 3.235 3.235 3.235 0.000 3.235 3.235 3.235 0.000" Properties=species:S:1:pos:R:3 pbc="T T T"
Lattice="0.270 -1.307 4.475 -2.248 -3.825 1.454 2.413 -3.821 1.175" Properties=species:S:1:pos:R:3 pbc="T T T"
Lattice="2.431 2.008 6.648 -6.265 -3.807 -0.631 1.901 -3.172 0.263" Properties=species:S:1:pos:R:3 pbc="T T T"
Lattice="1.422 5.624 -0.066 1.338 2.595 -5.014 -3.634 3.884 -2.316" Properties=species:S:1:pos:R:3 pbc="T T T"
Lattice="0.000 -4.131 -4.131 4.131 0.000 -4.131 4.131 -4.131 0.000" Properties=species:S:1:pos:R:3 pbc="T T T"
Lattice="-1.356 -4.268 -3.648 -4.913 2.685 -1.417 3.941 3.980 -6.122" Properties=species:S:1:pos:R:3 pbc="T T T"